District B13: Difference between revisions - Internet Movie Firearms Database - Guns in Movies, TV and Video Games
District B13: Difference between revisions
[[Image:B13 TahaPistol.jpg |thumb|none|600px|Tahas' personal pistol and later taken by Leïto is a Ruger KP94DC (2 tone decocker) with a small laser mounted to the front of the trigger guard - 9mm]]
[[Image:B13 TahaPistol.jpg |thumb|none|600px|Tahas' personal pistol and later taken by Leïto is a Ruger KP94DC (2 tone decocker) with a small laser mounted to the front of the trigger guard - 9mm]]
==Sig Sauer P220 Pistols==
==SIG Sauer P220 Pistols==
* Tomaso grabs a pair of Sig Pistols during a fight. The full size and large aperture of the barrel would indicate a big caliber like a .45 acp, so the assumption is that they are P220s.
* Tomaso grabs a pair of Sig Pistols during a fight. The full size and large aperture of the barrel would indicate a big caliber like a .45 acp, so the assumption is that they are P220s.
Seen during the fight in the gambling den, one of Montoyas' men fires a full auto pistol that strongly resembles the pistol used in Underworld: Evolution. Most likely a heavily modified beretta 92 with a custom extended front end, though this is an educated guess based on general shape and usage in other movies.
Along with his Baby Eagle 9mm, Taha also keeps a Ruger KP94DC 9mm handgun ( a stainless steel model of the Ruger P94 fitted with a decocker) that 's fitted with a small laser pointer right in front of the trigger guard as one of his personal pistols. It's later taken by Leito and used for the rest of the film.
Tomaso grabs a pair of Sig Pistols during a fight. The full size and large aperture of the barrel would indicate a big caliber like a .45 acp, so the assumption is that they are P220s.
Since the SIG pistols are supposedly stolen from the French National police, they should be SIG Pro SP 2022 or 2009 pistols, but they are probably Sig P228 pistols since they don't have the integral rail of the 2022 or the 2009 pistols used by the French.
that is a sigpro, you can tell by the shape of the front of the slide, it angles back at the bottom, only the sigpros do this,
• Between two parts of the entry: records of crystals:
<<<
La2SiRh: theoretical powder diffractogram (Cu Kα (weighted mean of Kα1 and Kα2)), based on a structure optimized by DFT (GGA-PBE).
Lines closer than 0.1° are merged.

Structure:
```
data_La2SiRh
_chemical_formula_sum 'La4 Si2 Rh2'
_cell_length_a 4.241
_cell_length_b 4.439
_cell_length_c 10.642
_cell_angle_alpha 90.00
_cell_angle_beta 90.00
_cell_angle_gamma 90.00
_space_group_name_H-M_alt 'A m m 2'
_space_group_IT_number 38
_space_group_name_Hall 'A 2 -2'
loop_
_atom_site_label
_atom_site_type_symbol
_atom_site_fract_x
_atom_site_fract_y
_atom_site_fract_z
La1 La 0.000 0.000 0.000
La2 La 0.500 0.000 0.285
Si1 Si 0.500 0.000 0.583
Rh1 Rh 0.000 0.000 0.715
```

Largest 10 diffraction maxima, by intensity, 2θ = 10–90°:
- 2θ 30.3, I 100.0, (1 1 1)
- 2θ 32.3, I 45.5, (0 1 3)
- 2θ 38.8, I 41.3, (1 1 3)
- 2θ 26.9, I 24.8, (1 0 2)
- 2θ 40.7, I 24.0, (0 2 0)
- 2θ 42.6, I 20.9, (2 0 0)
- 2θ 54.5, I 20.5, (2 1 3)
- 2θ 33.7, I 19.4, (0 0 4)
- 2θ 40.0, I 18.5, (1 0 4)
- 2θ 60.4, I 14.8, (2 2 0)
>>>
i would assume it is a 2009 because the 2340 isn't used by the french police and the 2022 as you said is railed (2009 and 2340
are the earlier versions, they weren't railed)
Captain Damien Tomaso (Cyril Raffaelli) uses a pair of Glock 18s fitted with 33 round magazines to destroy Gangster Montoya's prized automobile.
Error creating thumbnail: File missingGlock 18C 9x19mm (3rd generation). This model has compensator cuts on the slide and barrel to reduce muzzle climb while firingError creating thumbnail: File missingCaptain Damien Tomaso (Cyril Raffaelli) fire a pair of Glock 18s akimbo style, dumping both 33 round magazines into Montoya's prized car - 9mm
Glock 32
Elite French Police Captain Damien Tomaso (Cyril Raffaelli) uses a Glock 32 - chambered for .357 sig. Since Glocks all look alike the only reference to this caliber is a French language article which mentions the actor using a 357 pistol. Since the character never touches a revolver or a Desert Eagle, and that this is a French movie with a French Armorer, I am assuming that his Glock is a Model 32.
Though Tomasos' pistol is supposed to be a compact G32 in some of the scenes he seems to be firing a subcompact Glock. Since he is using the same ammunition (in the movie) it should be the Subcompact Glock 33.
If you look at the scene where the guy drops the magazines down the air shaft, you can see good shots of the bullets. The one on the left looks like it could be a .357, but the one on the right looks a little broad, perhaps 10mm auto? Also, doesn't he fire ten shots (standard capacity for 10 mm auto)(I think its 9 for .357) after chambering a round?
This is film. You cannot use the number of shots fired to determine the accurate magazine capacity of anything in a movie. Editing either limits or greatly expands the 'magical number of rounds' that a firearm can fire.MoviePropMaster2008 13:21, 18 February 2012 (CST)
Error creating thumbnail: File missingThe henchman in the back has a chopped down short barreled AR15/M16 full auto pistol based on the Rocky Mountain Patriot AR Pistol design, however it does not have a flat top receiver like the American pistol, but maintains the carry handle of the M16A1 upper receiver - 5.56mm NATOError creating thumbnail: File missingOne of Taha's henchmen tries to break in the door with an AR15 pistol - 5.56mm NATO
Two of K2's henchmen are armed with a Remington 870 Express: one fitted with a nickel plated finish and a sawed off version fitted with a muzzle break. One of Leito's guards has a sawn off version fitted with a taped foregrip and ribbed barrel.
Error creating thumbnail: File missingRemington 870 Field Gun with raised barrel ribbing and 28" barrel - 12 Gauge.Error creating thumbnail: File missingOne of K2's thugs has a silver shotgun. Though one may think it's an 870 Marine Magnum, it is merely a Remington 870 Express "pimped out" with a nickel plated finish - 12gaError creating thumbnail: File missingOne of Leïtos's guards holds a taped up Remington 870 Express that has a ribbed barrel - 12ga. These types of barrels are not stock items with the 870 in riot configuration but can be purchased separately.
Ithaca Model 37 Stakeout
Error creating thumbnail: File missingIthaca 37 "Stakeout" Parkerized finish with Synthetic forearm - 12 gaugeError creating thumbnail: File missingOne of K2's killers chases down Leïto with an Ithaca Model 37 stakeout with 18" barrel on his back - 12ga. Originally listed as a Mossberg, but the pistol grip upon closer inspection is the distinctive Ithaca Stakeout style. This type of firearm is ironically sold commercially as the "Homeland Security" Model 37.
Mossberg 500
Two leito's guards are armed with Mossberg 500: one a Persuader model and another one a 500AT model.
One of Taha's henchmen holds a AKS-74U style of weapon with a 5.56 waffle pattern magazine with an underfolding stock. It is most likely the Bulgarian Arsenal AR-SF since this SBR is available through mainstream channels of commerce in France. The rifle is available in 7.62x39mm and in 5.56x45mm NATO. The Bulgarian flash hider has been replaced with the classic Krinkov Flash hider/muzzle brake for the film.
Actually a "733 looking gun". Being a French film and the fact that French Armorers always do strange things with their guns, we see what looks like a Colt Model 733 Short barreled Assault rifle. However the barrel looks a little too long to be the 11" for the real 733 and too short to be the 14" for the 653, so it seems to be an intermediate length barrel (which means it's a custom barrel job from a real M16 carbine). It is seen briefly when Taha's men storm out of the building.
Since the only angle of this weapon is down the barrel it's hard to tell. It looks to be a .308 with a heavy barrel weight/muzzle brake mounted at the end. Possibly an FRF2.
M240Bs are used at gangland checkpoints and are also mounted on pickup trucks during a chase through the city. Being Europe these are most likely FN MAGs outfitted to look like M240B Machine guns (which have features that were requested by the U.S. Military).
The standard 40mm Grenade Launchers for the SIG series of Assault rifle are the GL 5040/GL 5041 launchers, built by Swiss Arms. These are seen attached to SIG SG551s throughout the film.
A French police officer carries a Deftech 37mm Tear Gas Launcher with top folding stock.Defense Technologies/Federal Laboratories launcher 37mm with folding stock